[Given]
'''
No. 1
Compound: CaAlFe
Source: Alexandria via LeMat-Bulk
Functional: PBE-GGA
Structure: relaxed

a = 4.4785 Å, b = 4.4785 Å, c = 3.6242 Å
α = 90.00°, β = 90.00°, γ = 120.00°
Closest atoms and distances in Å follow each position.
Fractional positions:
Ca 0.0000 0.0000 0.0000  6 Fe 3.16, 6 Al 3.16
Al 0.3333 0.6667 0.5000  3 Fe 2.59
Fe 0.6667 0.3333 0.5000  3 Al 2.59

Computed properties:
As for the energy of formation from the pure elements: 0.206 eV per atom. The space group is No. 187.

No. 2
Compound: CaAlFe
Source: Alexandria via LeMat-Bulk
Functional: PBE-GGA
Structure: relaxed

a = 4.5419 Å, b = 4.5419 Å, c = 4.5419 Å
α = 60.00°, β = 60.00°, γ = 60.00°
Closest atoms and distances in Å follow each position.
Fractional positions:
Ca 0.0000 0.0000 0.0000  4 Fe 2.78
Al 0.5000 0.5000 0.5000  4 Fe 2.78
Fe 0.2500 0.2500 0.2500  4 Al 2.78, 4 Ca 2.78

Computed properties:
As for the energy of formation from the pure elements: 0.448 eV per atom. The space group is No. 216.

No. 3
Compound: CaAl2Fe
Source: Alexandria via LeMat-Bulk
Functional: PBE-GGA
Structure: relaxed

a = 8.5103 Å, b = 8.5103 Å, c = 8.5103 Å
α = 22.56°, β = 22.56°, γ = 22.56°
Closest atoms and distances in Å follow each position.
Fractional positions:
Ca 0.0000 0.0000 0.0000  6 Al 3.19, 6 Ca 3.33
Al 0.2308 0.2308 0.2308  3 Fe 2.50
Al 0.7692 0.7692 0.7692  3 Fe 2.50
Fe 0.5000 0.5000 0.5000  6 Al 2.50

Computed properties:
As for the energy of formation from the pure elements: 0.172 eV per atom. The space group is No. 166.

No. 4
Compound: CaAl2Fe
Source: Alexandria via LeMat-Bulk
Functional: PBE-GGA
Structure: relaxed

a = 5.3357 Å, b = 5.3357 Å, c = 2.8682 Å
α = 90.00°, β = 90.00°, γ = 115.18°
Closest atoms and distances in Å follow each position.
Fractional positions:
Ca 0.0000 0.0000 0.0000  2 Fe 2.86, 2 Ca 2.87, 8 Al 3.03
Al 0.0000 0.5000 0.5000  4 Al 2.86-2.87, 4 Fe 3.03, 4 Ca 3.03
Al 0.5000 0.0000 0.5000  4 Al 2.86-2.87, 4 Fe 3.03, 4 Ca 3.03
Fe 0.5000 0.5000 0.0000  2 Ca 2.86, 2 Fe 2.87, 8 Al 3.03

Computed properties:
As for the energy of formation from the pure elements: 0.215 eV per atom. The space group is No. 65.

No. 5
Compound: CaAl3Fe2
Source: Alexandria via LeMat-Bulk
Functional: PBE-GGA
Structure: relaxed

a = 6.3902 Å, b = 6.3902 Å, c = 5.1224 Å
α = 90.00°, β = 90.00°, γ = 79.35°
Closest atoms and distances in Å follow each position.
Fractional positions:
Ca 0.1520 0.8480 0.7500  7 Al 3.08-3.31, 4 Fe 3.34
Ca 0.8480 0.1520 0.2500  7 Al 3.08-3.31, 4 Fe 3.34
Al 0.0321 0.5649 0.2500  4 Fe 2.45-2.53, 1 Al 2.72
Al 0.4351 0.9679 0.2500  4 Fe 2.45-2.53, 1 Al 2.72
Al 0.4627 0.5373 0.2500  4 Fe 2.47, 4 Al 2.63-2.72
Al 0.5373 0.4627 0.7500  4 Fe 2.47, 4 Al 2.63-2.72
Al 0.5649 0.0321 0.7500  4 Fe 2.45-2.53, 1 Al 2.72
Al 0.9679 0.4351 0.7500  4 Fe 2.45-2.53, 1 Al 2.72
Fe 0.2870 0.2870 0.0000  6 Al 2.45-2.53, 2 Fe 2.56
Fe 0.2870 0.2870 0.5000  6 Al 2.45-2.53, 2 Fe 2.56
Fe 0.7130 0.7130 0.0000  6 Al 2.45-2.53, 2 Fe 2.56
Fe 0.7130 0.7130 0.5000  6 Al 2.45-2.53, 2 Fe 2.56

Computed properties:
As for the energy of formation from the pure elements: -0.266 eV per atom. The space group is No. 63.

No. 6
Compound: Ca2AlFe
Source: Alexandria via LeMat-Bulk
Functional: PBE-GGA
Structure: relaxed

a = 6.0617 Å, b = 6.0617 Å, c = 5.1552 Å
α = 115.05°, β = 115.05°, γ = 34.78°
Closest atoms and distances in Å follow each position.
Fractional positions:
Ca 0.0000 0.0000 0.0000  4 Fe 3.22, 4 Ca 3.33-3.56, 4 Al 3.39-3.48
Ca 0.2042 0.2042 0.7032  4 Al 3.24, 4 Fe 3.33-3.53, 6 Ca 3.33-3.62
Al 0.7758 0.7758 0.2746  2 Fe 2.45
Fe 0.4350 0.4350 0.4354  2 Al 2.45

Computed properties:
As for the energy of formation from the pure elements: 0.152 eV per atom. The space group is No. 8.

No. 7
Compound: CaAl2Fe
Source: Alexandria via LeMat-Bulk
Functional: PBE-GGA
Structure: relaxed

a = 4.1166 Å, b = 4.1166 Å, c = 4.4000 Å
α = 90.00°, β = 90.00°, γ = 90.00°
Closest atoms and distances in Å follow each position.
Fractional positions:
Ca 0.0000 0.0000 0.0000  4 Fe 2.91, 8 Al 3.01
'''

[What to do]
Copy the whole of the calculation results further up word for word.

[Result]
No. 1
Compound: CaAlFe
Source: Alexandria via LeMat-Bulk
Functional: PBE-GGA
Structure: relaxed

a = 4.4785 Å, b = 4.4785 Å, c = 3.6242 Å
α = 90.00°, β = 90.00°, γ = 120.00°
Closest atoms and distances in Å follow each position.
Fractional positions:
Ca 0.0000 0.0000 0.0000  6 Fe 3.16, 6 Al 3.16
Al 0.3333 0.6667 0.5000  3 Fe 2.59
Fe 0.6667 0.3333 0.5000  3 Al 2.59

Computed properties:
As for the energy of formation from the pure elements: 0.206 eV per atom. The space group is No. 187.

No. 2
Compound: CaAlFe
Source: Alexandria via LeMat-Bulk
Functional: PBE-GGA
Structure: relaxed

a = 4.5419 Å, b = 4.5419 Å, c = 4.5419 Å
α = 60.00°, β = 60.00°, γ = 60.00°
Closest atoms and distances in Å follow each position.
Fractional positions:
Ca 0.0000 0.0000 0.0000  4 Fe 2.78
Al 0.5000 0.5000 0.5000  4 Fe 2.78
Fe 0.2500 0.2500 0.2500  4 Al 2.78, 4 Ca 2.78

Computed properties:
As for the energy of formation from the pure elements: 0.448 eV per atom. The space group is No. 216.

No. 3
Compound: CaAl2Fe
Source: Alexandria via LeMat-Bulk
Functional: PBE-GGA
Structure: relaxed

a = 8.5103 Å, b = 8.5103 Å, c = 8.5103 Å
α = 22.56°, β = 22.56°, γ = 22.56°
Closest atoms and distances in Å follow each position.
Fractional positions:
Ca 0.0000 0.0000 0.0000  6 Al 3.19, 6 Ca 3.33
Al 0.2308 0.2308 0.2308  3 Fe 2.50
Al 0.7692 0.7692 0.7692  3 Fe 2.50
Fe 0.5000 0.5000 0.5000  6 Al 2.50

Computed properties:
As for the energy of formation from the pure elements: 0.172 eV per atom. The space group is No. 166.

No. 4
Compound: CaAl2Fe
Source: Alexandria via LeMat-Bulk
Functional: PBE-GGA
Structure: relaxed

a = 5.3357 Å, b = 5.3357 Å, c = 2.8682 Å
α = 90.00°, β = 90.00°, γ = 115.18°
Closest atoms and distances in Å follow each position.
Fractional positions:
Ca 0.0000 0.0000 0.0000  2 Fe 2.86, 2 Ca 2.87, 8 Al 3.03
Al 0.0000 0.5000 0.5000  4 Al 2.86-2.87, 4 Fe 3.03, 4 Ca 3.03
Al 0.5000 0.0000 0.5000  4 Al 2.86-2.87, 4 Fe 3.03, 4 Ca 3.03
Fe 0.5000 0.5000 0.0000  2 Ca 2.86, 2 Fe 2.87, 8 Al 3.03

Computed properties:
As for the energy of formation from the pure elements: 0.215 eV per atom. The space group is No. 65.

No. 5
Compound: CaAl3Fe2
Source: Alexandria via LeMat-Bulk
Functional: PBE-GGA
Structure: relaxed

a = 6.3902 Å, b = 6.3902 Å, c = 5.1224 Å
α = 90.00°, β = 90.00°, γ = 79.35°
Closest atoms and distances in Å follow each position.
Fractional positions:
Ca 0.1520 0.8480 0.7500  7 Al 3.08-3.31, 4 Fe 3.34
Ca 0.8480 0.1520 0.2500  7 Al 3.08-3.31, 4 Fe 3.34
Al 0.0321 0.5649 0.2500  4 Fe 2.45-2.53, 1 Al 2.72
Al 0.4351 0.9679 0.2500  4 Fe 2.45-2.53, 1 Al 2.72
Al 0.4627 0.5373 0.2500  4 Fe 2.47, 4 Al 2.63-2.72
Al 0.5373 0.4627 0.7500  4 Fe 2.47, 4 Al 2.63-2.72
Al 0.5649 0.0321 0.7500  4 Fe 2.45-2.53, 1 Al 2.72
Al 0.9679 0.4351 0.7500  4 Fe 2.45-2.53, 1 Al 2.72
Fe 0.2870 0.2870 0.0000  6 Al 2.45-2.53, 2 Fe 2.56
Fe 0.2870 0.2870 0.5000  6 Al 2.45-2.53, 2 Fe 2.56
Fe 0.7130 0.7130 0.0000  6 Al 2.45-2.53, 2 Fe 2.56
Fe 0.7130 0.7130 0.5000  6 Al 2.45-2.53, 2 Fe 2.56

Computed properties:
As for the energy of formation from the pure elements: -0.266 eV per atom. The space group is No. 63.

No. 6
Compound: Ca2AlFe
Source: Alexandria via LeMat-Bulk
Functional: PBE-GGA
Structure: relaxed

a = 6.0617 Å, b = 6.0617 Å, c = 5.1552 Å
α = 115.05°, β = 115.05°, γ = 34.78°
Closest atoms and distances in Å follow each position.
Fractional positions:
Ca 0.0000 0.0000 0.0000  4 Fe 3.22, 4 Ca 3.33-3.56, 4 Al 3.39-3.48
Ca 0.2042 0.2042 0.7032  4 Al 3.24, 4 Fe 3.33-3.53, 6 Ca 3.33-3.62
Al 0.7758 0.7758 0.2746  2 Fe 2.45
Fe 0.4350 0.4350 0.4354  2 Al 2.45

Computed properties:
As for the energy of formation from the pure elements: 0.152 eV per atom. The space group is No. 8.

No. 7
Compound: CaAl2Fe
Source: Alexandria via LeMat-Bulk
Functional: PBE-GGA
Structure: relaxed

a = 4.1166 Å, b = 4.1166 Å, c = 4.4000 Å
α = 90.00°, β = 90.00°, γ = 90.00°
Closest atoms and distances in Å follow each position.
Fractional positions:
Ca 0.0000 0.0000 0.0000  4 Fe 2.91, 8 Al 3.01